Assignment:
Say how many lines of the calculation results below hold the word "form", as a bare number, please.

Excerpt:
+++
AlTc2Ni | GGA-PBE | relaxed

Cell: 3.990 2.746 5.714 Å, 61.35 90.00 90.00°
Fractional positions:
Al: 0.500 0.250 0.250
Ni: 0.500 0.750 0.750
Tc: 0.000 0.504 0.497
Tc: 0.000 0.996 0.003

Results
The value obtained for the density of states at the Fermi level is 5.38 states/eV per cell. The value obtained for the raw total energy is -7.617 eV/atom. For the total magnetic moment, the calculation gives 0.0 Bohr magnetons per cell.


Mg3Sc | GGA-PBE | relaxed

Cell: 10.693 10.693 10.693 Å, 17.28 17.28 17.28°
Fractional positions:
Sc: 0.000 0.000 0.000
Mg: 0.500 0.500 0.500
Mg: 0.250 0.250 0.250
Mg: 0.750 0.750 0.750

Results
The value obtained for the density of states at the Fermi level is 3.53 states/eV per cell. The value obtained for the raw total energy is -2.745 eV/atom. For the total magnetic moment, the calculation gives 0.0 Bohr magnetons per cell.


SmGa5Ir2Pd | GGA-PBE | relaxed

Cell: 4.808 4.808 7.713 Å, 90.00 90.00 90.00°
Fractional positions:
Ga: 0.500 0.500 0.500
Ga: 0.000 0.500 0.818
Ga: 0.500 0.000 0.818
Ga: 0.000 0.500 0.182
Ga: 0.500 0.000 0.182
Pd: 0.000 0.000 0.000
Ir: 0.500 0.500 0.797
Ir: 0.500 0.500 0.203
Sm: 0.000 0.000 0.500

Results
The value obtained for the density of states at the Fermi level is 3.99 states/eV per cell. The value obtained for the raw total energy is -5.049 eV/atom. For the total magnetic moment, the calculation gives 0.0 Bohr magnetons per cell.


NaCu2GeO4 | GGA-PBE | relaxed

Cell: 4.994 4.994 4.994 Å, 99.75 114.54 114.54°
Each line ends with the local moment (μB).
Fractional positions:
O: 0.620 0.473 0.473  0.07
O: 0.000 0.527 0.146  0.07
O: 0.380 0.854 0.854  0.07
O: 0.000 0.146 0.527  0.07
Ge: 0.000 0.500 0.500  0.00
Cu: 0.500 0.750 0.250  0.34
Cu: 0.500 0.250 0.750  0.34
Na: 0.000 0.000 0.000  0.00

Results
The value obtained for the density of states at the Fermi level is 2.82 states/eV per cell. As for the formation energy without anion corrections: -1.16 eV per atom. For the total magnetic moment, the calculation gives 1.0 Bohr magnetons per cell.

----------

Record 1
DFT (PBE) results for crystalline Ac2LaNdS4 at its relaxed geometry.

```
Ac2LaNdS4
1.0
-2.558 1.643 -2.876
-5.747 -2.764 3.532
1.419 6.712 2.573
S Ac Nd La
4 2 1 1
Direct
0.000 0.743 0.236
0.500 0.248 0.238
0.000 0.257 0.764
0.500 0.752 0.762
0.000 0.500 0.500
0.500 0.000 0.500
0.500 0.500 0.000
0.000 0.000 0.000
```

Output
VASP energy: -50.801 eV per cell
Fermi-level density of states: 4.97 states/eV/f.u.

***

Record 2
DFT (PBE) results for crystalline VNi2Rh2 at its relaxed geometry.

```
VNi2Rh2
1.0
-4.498 -0.832 5.202
-3.665 -4.420 -3.875
1.496 -2.083 0.961
Ni V Rh
4 2 4
Direct
0.876 0.624 0.000
0.124 0.376 0.000
0.624 0.124 0.000
0.376 0.876 0.000
0.500 0.500 0.000
0.000 0.000 0.000
0.826 0.326 0.500
0.674 0.826 0.500
0.326 0.174 0.500
0.174 0.674 0.500
```

Output
calculated formation energy: 0.07 eV/atom
offset from the most stable computed form: 0.242 eV per atom
Fermi-level density of states: 8.28 states/eV/f.u.

***

Record 3
DFT (PBE) results for crystalline Tl2TcRu at its relaxed geometry.

```
Tl2TcRu
1.0
-2.494 4.053 0.057
-2.794 2.717 -2.732
-4.919 -1.848 1.415
Tl Tc Ru
2 1 1
Direct
0.001 0.001 0.998
0.499 0.499 0.502
0.250 0.250 0.250
0.750 0.750 0.750
```

Output
calculated formation energy: 0.77 eV/atom
offset from the most stable computed form: 0.382 eV per atom
Fermi-level density of states: 4.31 states/eV/f.u.

***

Record 4
DFT (PBE) results for crystalline TlOs3Se at its relaxed geometry.

```
TlOs3Se
1.0
-3.327 3.689 0.741
-2.283 -2.765 3.517
2.992 1.993 3.508
Tl Os Se
1 3 1
Direct
0.000 0.000 0.000
0.000 0.500 0.000
0.500 0.000 0.000
0.000 0.000 0.500
0.500 0.500 0.500
```

Output
offset from the most stable computed form: 1.529 eV per atom
Fermi-level density of states: 6.36 states/eV/f.u.

***

Record 5
DFT (PBE) results for crystalline PmEr4Se6 at its relaxed geometry.

```
PmEr4Se6
1.0
3.998 0.000 0.000
-1.999 6.643 0.000
0.000 0.000 20.664
Er Pm Se
8 2 12
Direct
+++

Written answer:
3